So often we imagine the people of the past as, if not quite stodgy, then definitely as less sexual than the current generation. Aristophanes Lysistrata, takes that idea and turns it on its head, proving beyond a shadow of a doubt that people have always been sexual beings with appetites similar to our own. Aristophanes excels at the bawdy double entendre and certainly this play can be enjoyed as nothing more than what it presents itself as, a farcical sexual comedy, but that would be doing it a great disservice. Aristophanes used the comedic situations and the women in Lysistrata and their struggle against a small group of old men, as a safe way to express his criticisms of the ongoing Peloponnesian War and the current government. The basic plot of …show more content…
We’re told in the introduction to the play that the women of Athens were stereotypically seen as “lustful, shamelessly sexual, and prone to drunkenness (765),” not your typical activists. The women even say in regards to themselves, “but what can women do that’s sensible or grand? We’re good and putting make-up on, designer clothes and wigs and necklaces, imported gowns and fancy lingerie! (1.42-45)” By having the characters admit they are lazy, alcoholic and lustful, it makes their role as main characters funny and the situation on the ridiculous side, otherwise the author’s critique of the war, through the play, may not have been received well. Aristophanes must use women to couch his complaints against the government, because if he had used men doing the same things (occupying the citadel, taking over the money), it may have been seen as a call to arms rather than a commentary on their society. When such foolish creatures have to tell men what to do, the war the men are fighting must be pretty foolish indeed, he seems to say. Aristophanes uses the low status of women in Athens society to make his critique as non threatening as
Agency is a term describing one's ability to reason and to act freely. Back in the time of the Trojan War, women were not considered to possess full agency as Aristotle once illustrated in his Politics “The deliberative part of the soul is entirely missing from a slave, a woman has it but it lacks authority.” In Book 3 of the Iliad, Homer illustrated the enticement of Aphrodite luring Helen to the bed of Paris and Helen’s corresponding resistance. From Helen’s dispute with Aphrodite, we can see that women in the Homeric world attempted to achieve agency through defying their fate of being materialized as mere sex partners, but eventually all the attempts were conquered under the mental compulsion from gods.
For centuries men have been finding ways to gain control over everything and everyone. One group that has been oppressed by men throughout history are women. Men have placed rules and regulations upon women making them seen as unequal and inferior. Was it fear? Was it the hunger for power? Was is the highness of superiority? Whatever the reasons were, men had to be seen as the highest being next to whom they worshiped. In the play Antigone by Sophocles, the audience is exposed to the roles of men and women in an ancient Greece society known as Thebes. Although ancient Greece was a male-dominant society where women had as much freedom as a slave, Sophocles’ main character in the play, Antigone, is an example of a brave, strong-minded woman who goes against the limitations that were unfairly set upon women during that time to do what she believes is right. In this play, gender roles assists in the process of portraying the story since it affects some of the decisions of the characters and helps lead the story into the climax.
Euripides was one of the most well-known playwrights of ancient Greece. He was known as a modern playwright because he wrote with realism, and had a doubtful way of portraying the gods in his plays. Euripides’s plays had women as the main character because he had a sympathetic way of portraying women. The women were mainly strong and are passionate in their motives for their actions. Although Euripides is well known now, during ancient Greece Euripides wasn’t an appreciated playwright. When there were play performances men would be the audience since women weren’t allowed to take part in or watch the plays. So with the focus of women in his plays, he gave them a voice, which would throw men off, mainly because they would be terrified if their wives did and said the same things. Euripides supplied a philosophical thought to the women he has written about.
Ultimately, she chooses to use manipulation and temptation to her advantage to sway the minds of men. “If we sat there at home in our make-up, and came into their rooms wearing our lawn shifts and nothing else and plucked down below delta-style, and our husbands got all horny…but we kept away and didn’t come to them—they’d make peace fast enough I know for sure” (Aristophanes 80) Lysistrata urges that the women avoid sex by any means, even if they must fight against physical force by their husbands (Aristophanes). By using this tactic of a sex strike applied all over mainland Greece, Lysistrata remains confident that women can persuade men to keep peace as opposed to war. Therefore, evidence suggests in Aristophanes’ play that women such as Lysistrata derives power and authority over men through sex and temptation. Women can only attempt to persuade them due to the fact that men hold too much power to be outright forced to anything.
Aristophanes paved the way for comedy and how it would be viewed by citizens in ancient Greece. By incorporating satire and comedy, Aristophanes portrayed the social and political climate of the time. More specifically, Lysistrata, a play by Aristophanes, gives insight into the role women have in the Athenian society. The theme of gender roles in the play, Lysistrata, has evolved to parallel the social norm of feminism by women today. Lysistrata is a satirical comedy and portrays the women are at odds with man regarding several different matters, most notably the waging war on itself. The role Aristophanes embellishes within the characters are reversed between man and woman. The women, who were largely subservient to the needs and whims of
Studies concerning the lives of women in classical Athens have sparked much controversy because, despite the apparent fascination with femininity manifested in art and drama, we have no evidence voicing the opinions of the actual women themselves. This presents a
Aristophanes and Agathon were peers in Ancient Greece. Aristophanes was the master of comedy, and Agathon was the master of tragedy. They traveled in the same circles and are present in the same works. In looking through the comic lens at Agathon in Aristophanes’ Women at the Thesmophoria, the reader is presented with a portrayal of an effeminate man with a flair for the dramatic and a queenly attitude. Aristophanes’ Agathon is a comic character to be laughed at, a man that is more female than male. In looking at this view of Agathon, Greek views of homoeroticism are brought up and Agathon’s reputation and character in the world of Ancient Greece is brought into question. How much of
+++
Record 1
Entry from Materials Project: an optimized crystal structure of Cd2Bi2Te3Se3 (PBE).

Cell: 4.2507 4.2507 56.7614 Å, 90.00 90.00 120.00°
Space group R3m (No. 160, hexagonal axes)
Inequivalent atoms, fractional coordinates:
Cd1 0.0000 0.0000 0.0000
Cd2 0.0000 0.0000 0.4980
Bi1 0.0000 0.0000 0.1016
Bi2 0.0000 0.0000 0.6033
Te1 0.0000 0.0000 0.1940
Te2 0.0000 0.0000 0.6941
Te3 0.0000 0.0000 0.9035
Se1 0.0000 0.0000 0.3028
Se2 0.0000 0.0000 0.4072
Se3 0.0000 0.0000 0.8022

## Properties
For the energy of formation from the pure elements, the calculation gives -0.35 eV/atom. The calculation puts the total energy at -94.80 eV for the cell shown.

=====

Record 2
Entry from Materials Project: an optimized crystal structure of BaEuNbSbO6 (PBE).

Cell: 5.9741 6.0015 8.4581 Å, 90.48 90.43 90.27°
Space group P-1 (No. 2)
Inequivalent atoms, fractional coordinates:
Ba1 0.0042 0.0274 0.2504
Eu1 0.4904 0.5379 0.2536
Nb1 0.0000 0.5000 0.0000
Nb2 0.5000 0.0000 0.5000
Sb1 0.0000 0.5000 0.5000
Sb2 0.5000 0.0000 0.0000
O1 0.0940 0.5014 0.7672
O2 0.2011 0.7671 0.0391
O3 0.2313 0.7975 0.4691
O4 0.2683 0.3013 0.0517
O5 0.3082 0.2759 0.4548
O6 0.4354 0.0396 0.7343

## Properties
The energy above the most stable polymorph in this dataset is 0 meV per atom. For the energy of formation from the pure elements, the calculation gives -2.80 eV/atom. The calculation puts the total energy at -159.93 eV for the cell shown.

=====

> Among the records above, which one has the lowest energy of formation from the pure elements?

BaEuNbSbO6

=====
+++
Since the beginning of time, women have always been looked down upon mentally. During the time period of The Odyssey and Lysistrata, women were known as less powerful gender. They have never had much say about what goes on around them. Some women were recognized as a sex symbol. In The Odyssey, some women were goddesses that just wanted sex and other women had to stay at home to help raise their kids and do all of the feminine work. Compared to The Odyssey, in Lysistrata, women denied sex against their men to get what they want. In addition, they did not have many political rights and a say so on what goes on in their country. In comparing both of these stories, women show similarities toward each other.
Athenian society was very dynamic in many areas while it was strict in regard to the treatment of women. Although Athenian women were protected by the state and did not know a different way of living, they were very stifled and restricted. The only exception was slaves, and heteria, prostitutes, and this was due to the fact that they had no male guardians. Since these women were on there own they had to take care of themselves, and therefore were independent. In a more recent and modern way of viewing the role of a woman, independence and freedom to do as one likes is one of the most important aspects of living. In Athens the wives had none of this freedom and the prostitutes did. Who then really had a “better”
As shown, women were considered naturally submissive as in most other old cultures. This is somewhat understandable as women were the ones who bore children and men provided for the family unit. As time progressed, this stereotype was over emphasized into what is portrayed in these plays and poems. Despite this submissive image, Greek women were not considered naïve, but a pleasurable if a bit foolish kind of a creature. In Aristophane?s play, Lysistrata, this concept is amply portrayed. Most of the women are portrayed, as impulsive individuals while men are carnal gluttons. Notwithstanding this facet of their image women could also be wily as Medea and Lysistrata:
“Lysistrata” is a tale which is centered around an Athenian woman named Lysistrata and her comrades who have taken control of the Acropolis in Athens. Lysistrata explains to the old men how the women have seized the Acropolis to keep men from using the money to make war and to keep dishonest officials from stealing the money. The opening scene of “Lysistrata” enacts the stereotypical and traditional characterization of women in Greece and also distances Lysistrata from this overused expression, housewife character. The audience is met with a woman, Lysistrata, who is furious with the other women from her country because they have not come to discuss war with her. The basic premise of the play is, Lysistrata coming up with a plan to put an
The poetic tone of Aristophanes' Lysistrata differs greatly from the poetic tone of the Greek tragedies we have read in class. However, after analyzing this Greek comedy, it seems to share some of the main characteristics of Euripides' Medea. Within these plays, we meet shrewd, powerful masculine women who use the art of manipulation to get what they want from others and to accomplish their goals. This theme of manipulation is employed through various means and techniques. The women of these plays also seem to contradict the stereotypical woman and have characteristics similar to the Homeric Greek warrior.
Compared to the way Athenian women were presented in Lysistrata, Aristophanes sticks to the now known facts of their lifestyle fairly closely. In the play’s opening, Lysistrata, our female protagonist, calls women from not only her home of Athens, but as we all the Spartan enemy and other places to meet in and is upset at their untimely arrival. Her neighbor Calonice appears and reassures her they will come eventually, but they are simply delayed due to having to care for their husbands, household, and children. In contrast, Spartan women were educated, participated in sports, and had little to do with the upbringing of their children. In fact, they only had contact with their husbands for sexual relation purposes. When the women finally arrive, Lysistrata inquires how many of their husbands are gone away to war. Some of the women reply their husbands have been gone for months. Lampito, a beautiful Spartan girl, expresses she is unhappy because her husband comes home and no sooner grabs his shield and chargers off again. Though according to our textbook, Spartan women were free to remarry if her husband was gone away to war for too long. Thus begins the flaws in Lysistrata’s plan of how the women will force the men to claim peace.
The different portrayals of female characters Antigone and Lysistrata illustrate the fundamental nature of the proper Athenian woman. Sophocles' Antigone allows the reader to see that outrage over social injustices does not give women the excuse to rebel against authority, while Aristophanes' Lysistrata reveals that challenging authority in the polis becomes acceptable only when it's faced with destruction through war. Sophocles and Aristophanes use different means to illustrate the same idea; the ideal Athenian woman's ultimate loyalty lies with her polis. This Greek concept of the proper woman seems so vital when considering Athenian society because both a tragedy and comedy revolve around this concept. The differing roles accorded to
The role of women in ancient Greek life was insignificant compared to that of Greek men. A woman's job was to take care of the children and to cook and clean unless she had servants or slaves that would do it for her. Yet, in Greek mythology, women were often written as major characters. Well-known Greek plays contain many well-written, complex, female characters. Female individuals in Greek mythology were often seen as very powerful and fierce and were depicted by “her wits, her beauty, or her bad deeds.”